Friday, April 18, 2014
What Makes us Happy?
Back from the fridge with beer #5 at 2102. Sip. Another nose blow to clear more Jewish mucus. Sip. (faint tap) Tonight's 'radiation style' seems to be constant low (tap) level radiation. I'm thinking about what to write next. Sip. CNN has an interesting thinkee on India, and Bill Moyers has an interesting thingee on 'The one percent' of Americans who own 99 percent of America's wealth. Hmm! Let's hope that America takes no 'sharp turns' in the near future!? Yes? No? HAAA! I have a new subject! 'Wealth and Happiness.'
I am 'fairly happy.' I would be much happier, of course, if I didn't have to endure the antics of that Bat Shit Looney Jew who has been stalking me since at least 1975: I would be able to sleep well, and the resulting 'day time' would be much pleasanter. I would probably not have to take daily 'afternoon naps.' My 'health and happiness' would be a notch or two on the upside. No question. But even given the existing circumstances, I consider myself 'fairly happy.' (tap)
But my 'happiness,' such as it is, is a 'learned phenomenon.' I have learned how to be happy in spite of unhappy circumstances. Many people do that. Things could always be worse! Be happy that they are not!
But what about 'The One Percent:' How happy are the One Percent?
┌──
(1)
Simulated XRD peak list
Compound: PRu2Pb
Radiation: Cu Kα, 1.54184 Å
Structure: DFT lattice parameters and positions (PBE)
Neutral-atom scattering factors, no anomalous dispersion.

Structural model:
a b c (Å): 8.1065 3.0335 6.0028
angles (deg): 90.00 99.67 90.00
Space group Cm (No. 8)
Asymmetric unit:
P (0.0000, 0.0000, 0.0000)
Ru (0.2104, 0.5000, 0.9652)
Ru (0.4441, 0.0000, 0.2665)
Pb (0.2102, 0.0000, 0.5484)

The 6 most intense peaks (10 to 90 degrees two-theta), sorted by position:
two_theta	I/Imax	hkl
22.2	33	2 0 0
29.0	32	2 0 1
34.6	44	2 0 -2
35.9	100	1 1 1
42.8	33	1 1 -2
46.0	73	3 1 -1

(2)
Simulated XRD peak list
Compound: PPbS4
Radiation: Cu Kα, 1.54184 Å
Structure: DFT lattice parameters and positions (PBE)
Neutral-atom scattering factors, no anomalous dispersion.

Structural model:
a b c (Å): 8.3156 8.7438 9.1366
angles (deg): 90.00 90.00 90.00
Space group C222_1 (No. 20)
Asymmetric unit:
P (0.1695, 0.0000, 0.0000)
Pb (0.0000, 0.2894, 0.2500)
S (0.0401, 0.1935, 0.9573)
S (0.2021, 0.4568, 0.6882)

The 6 most intense peaks (10 to 90 degrees two-theta), sorted by position:
two_theta	I/Imax	hkl
17.6	100	1 1 1
21.4	17	2 0 0
29.7	36	2 2 0
33.0	38	1 1 3
35.4	21	3 1 1
45.4	15	3 1 3

(3)
Simulated XRD peak list
Compound: PPb4S6
Radiation: Cu Kα, 1.54184 Å
Structure: DFT lattice parameters and positions (PBE)
Neutral-atom scattering factors, no anomalous dispersion.

Structural model:
a b c (Å): 13.6539 7.4840 13.1213
angles (deg): 90.00 105.91 90.00
Space group Cc (No. 9)
Asymmetric unit:
P (0.0000, 0.2224, 0.0000)
Pb (0.0574, 0.4461, 0.7781)
Pb (0.2187, 0.1042, 0.2235)
Pb (0.2740, 0.3659, 0.5500)
Pb (0.4276, 0.2646, 0.9016)
S (0.0144, 0.0111, 0.1043)
S (0.1298, 0.2242, 0.3748)
S (0.1428, 0.2987, 0.9921)
S (0.2353, 0.2662, 0.7388)
S (0.4126, 0.3560, 0.3519)
S (0.4232, 0.0731, 0.5528)

The 6 most intense peaks (10 to 90 degrees two-theta), sorted by position:
two_theta	I/Imax	hkl
18.2	69	1 1 -2
22.1	91	2 0 2
22.9	84	3 1 -1
23.6	100	1 1 -3
24.4	97	3 1 -2
24.8	65	0 2 1

(4)
Simulated XRD peak list
Compound: TlPPbS4
Radiation: Cu Kα, 1.54184 Å
Structure: DFT lattice parameters and positions (PBE)
Neutral-atom scattering factors, no anomalous dispersion.

Structural model:
a b c (Å): 12.6971 6.6399 8.8480
angles (deg): 90.00 90.00 90.00
Space group Pnma (No. 62)
Asymmetric unit:
Tl (0.1118, 0.2500, 0.1224)
P (0.1500, 0.7500, 0.3699)
Pb (0.1279, 0.2500, 0.6049)
S (0.0478, 0.7500, 0.1898)
S (0.0683, 0.7500, 0.5716)
S (0.2474, 0.5035, 0.3599)

The 6 most intense peaks (10 to 90 degrees two-theta), sorted by position:
two_theta	I/Imax	hkl
19.3	100	2 1 0
25.2	71	1 1 2
26.9	44	0 2 0
29.2	60	3 0 2
32.2	51	3 1 2
34.5	51	1 2 2

(5)
Simulated XRD peak list
Compound: Sb2P6Pb
Radiation: Cu Kα, 1.54184 Å
Structure: DFT lattice parameters and positions (PBE)
Neutral-atom scattering factors, no anomalous dispersion.

Structural model:
a b c (Å): 7.3352 7.3352 4.6829
angles (deg): 90.00 90.00 120.00
Space group P-31m (No. 162)
Asymmetric unit:
└──
My guess is that the average Onepercenter is not that much happier than I am! The reason is basically genetic: 'Astonishing Wealth' is an entirely new phenomenon so far as 'the multitude' is concerned. True, Ancient Kings and Emperors of old had the same 'astonishing wealth' as 'Today's One Percent.' But their genes were flabbergasted: 'So fucking what? Where's my 3PM orgasm?'
Human Beings can be only so happy, billions upon billions of dollars notwithstanding. That's the way we roll, genetically speaking. Sip.
Back from the fridge with beer #5 at 2102. Sip. Another nose blow to clear more Jewish mucus. Sip. (faint tap) Tonight's 'radiation style' seems to be constant low (tap) level radiation. I'm thinking about what to write next. Sip. CNN has an interesting thinkee on India, and Bill Moyers has an interesting thingee on 'The one percent' of Americans who own 99 percent of America's wealth. Hmm! Let's hope that America takes no 'sharp turns' in the near future!? Yes? No? HAAA! I have a new subject! 'Wealth and Happiness.'
I am 'fairly happy.' I would be much happier, of course, if I didn't have to endure the antics of that Bat Shit Looney Jew who has been stalking me since at least 1975: I would be able to sleep well, and the resulting 'day time' would be much pleasanter. I would probably not have to take daily 'afternoon naps.' My 'health and happiness' would be a notch or two on the upside. No question. But even given the existing circumstances, I consider myself 'fairly happy.' (tap)
But my 'happiness,' such as it is, is a 'learned phenomenon.' I have learned how to be happy in spite of unhappy circumstances. Many people do that. Things could always be worse! Be happy that they are not!
But what about 'The One Percent:' How happy are the One Percent?
My guess is that the average Onepercenter is not that much happier than I am! The reason is basically genetic: 'Astonishing Wealth' is an entirely new phenomenon so far as 'the multitude' is concerned. True, Ancient Kings and Emperors of old had the same 'astonishing wealth' as 'Today's One Percent.' But their genes were flabbergasted: 'So fucking what? Where's my 3PM orgasm?'
Human Beings can be only so happy, billions upon billions of dollars notwithstanding. That's the way we roll, genetically speaking. Sip.